Vocabulary Paraphrase

You start with a list of vocabulary items that you want to review. These could be from students' homework, or the current chapter of the textbook. Prepare a short paraphrased definition of each word.

From Paraphrase to Words

Start by writing four of the words on the board, with lettered labels (A, B, C, D) or use Captur board magnets, like this:

Choice A spatula

Choice Bcolander

Choice C wok

Choice D can opener

Read out a paraphrased definition. Students use their Captur paddles to choose the word that they believe matches the definition. After that, you should use the word in a sentence so that students can hear it in context.

“You use this to drain water. After cooking spaghetti, you pour it all into this, and the water drains out.”

Students should show you Choice B (B), because you have just defined colander. Next, use it in a sentence.

After cooking spaghetti, I pour it all into a colander, and the water drains out.

• Inserted here: calculated crystals:
<<<
This record from the Alexandria database describes a PBEsol-optimized structure of Co2Au. The functional is SCAN.

Cell lengths 3.227, 3.227, 4.136 Å; angles 90.00, 90.00, 90.00 degrees
Site moments in Bohr magnetons follow the coordinates.
Fractional coordinates of all 3 atoms:
1 Co 0.500 0.000 0.500  1.94
2 Co 0.000 0.500 0.500  1.94
3 Au 0.000 0.000 0.000  0.01

## Properties
- total magnetic moment (μB/atom) = 1.266


This record from the Alexandria database describes a PBEsol-optimized structure of Co2Au. The functional is SCAN.

Cell lengths 3.405, 3.405, 7.552 Å; angles 103.03, 103.03, 90.00 degrees
Site moments in Bohr magnetons follow the coordinates.
Fractional coordinates of all 6 atoms:
1 Co 0.421 0.421 0.843  1.96
2 Co 0.579 0.579 0.157  1.96
3 Co 0.671 0.171 0.343  1.96
4 Co 0.829 0.329 0.657  1.96
5 Au 0.250 0.750 0.500  0.07
6 Au 0.000 0.000 0.000  0.07

## Properties
- total magnetic moment (μB/atom) = 1.323


This record from the Alexandria database describes a PBEsol-optimized structure of Co2Au. The functional is SCAN.

Cell lengths 4.789, 4.789, 4.789 Å; angles 107.28, 107.28, 113.95 degrees
Site moments in Bohr magnetons follow the coordinates.
Fractional coordinates of all 6 atoms:
1 Co 0.869 0.631 0.500  1.94
2 Co 0.631 0.131 0.763  1.94
3 Co 0.131 0.369 0.500  1.94
4 Co 0.369 0.869 0.237  1.94
5 Au 0.250 0.250 0.000  0.06
6 Au 0.750 0.750 0.000  0.06

## Properties
- total magnetic moment (μB/atom) = 1.262


This record from the Alexandria database describes a PBEsol-optimized structure of CoAu. The functional is SCAN.

Cell lengths 3.764, 3.764, 4.710 Å; angles 113.55, 113.55, 90.00 degrees
Site moments in Bohr magnetons follow the coordinates.
Fractional coordinates of all 4 atoms:
1 Co 0.750 0.250 0.500  1.94
2 Co 0.500 0.500 0.000  1.94
3 Au 0.250 0.750 0.500  0.06
4 Au 0.000 0.000 0.000  0.06

## Properties
- total magnetic moment (μB/atom) = 0.955


This record from the Alexandria database describes a PBEsol-optimized structure of CoAu3. The functional is SCAN.

Cell lengths 2.781, 4.615, 4.851 Å; angles 90.00, 90.00, 90.00 degrees
Site moments in Bohr magnetons follow the coordinates.
Fractional coordinates of all 4 atoms:
1 Au 0.500 0.500 0.829  0.01
2 Au 0.000 0.000 0.010  0.01
3 Au 0.500 0.000 0.496  0.01
4 Co 0.000 0.500 0.332  1.93

## Properties
- total magnetic moment (μB/atom) = 0.489


This record from the Alexandria database describes a PBEsol-optimized structure of CrCoAu2. The functional is SCAN.

Cell lengths 3.786, 3.892, 3.892 Å; angles 90.00, 90.00, 90.00 degrees
Site moments in Bohr magnetons follow the coordinates.
Fractional coordinates of all 4 atoms:
1 Co 0.500 0.500 0.500  -1.76
>>>
• End of the calculated crystals:

Now, erase colander to remove that word from the list, and replace it with a new word, so that students always have 4 choices.

When you remove a word, your options depend on how much board space and time you have. If you have plenty of both, then you can keep a list off to the side of all of the words you've already done. Add the most recently-answered word to this list, and then erase it from the list of options.

From Words to Paraphrase

You can distribute a list of the vocabulary to the students, or you can just write each word on the board as you come to them. This is a variation of the activity above, but this time, you'll need to create some false paraphrases for the vocabulary items.

/*
Entry 1:
The following is a DFT calculation (PBE) of a relaxed ZnSiPbO4 crystal.

Summary:
The calculation puts the formation energy without anion corrections at -1.980 eV/atom. The calculation puts the raw total energy at -6.300 eV/atom.

Lattice parameters (Å, degrees): 5.1465 8.3807 19.3014 90.00 90.00 90.00
Element x y z (fractional)
Zn 0.7205 0.0007 0.4428
Zn 0.2205 0.9993 0.5572
Zn 0.2205 0.4993 0.9428
Zn 0.7205 0.5007 0.0572
Zn 0.7197 0.3196 0.3439
Zn 0.2197 0.6804 0.6561
Zn 0.2197 0.1804 0.8439
Zn 0.7197 0.8196 0.1561
Si 0.2107 0.2292 0.4269
Si 0.7107 0.7708 0.5731
Si 0.7107 0.2708 0.9269
Si 0.2107 0.7292 0.0731
Si 0.7260 0.7016 0.3231
Si 0.2260 0.2984 0.6769
Si 0.2260 0.7984 0.8231
Si 0.7260 0.2016 0.1769
Pb 0.2884 0.6473 0.4411
Pb 0.7884 0.3527 0.5589
Pb 0.7884 0.8527 0.9411
Pb 0.2884 0.1473 0.0589
Pb 0.2537 0.5430 0.2328
Pb 0.7537 0.4570 0.7672
Pb 0.7537 0.9570 0.7328
Pb 0.2537 0.0430 0.2672
O 0.5278 0.2006 0.4189
O 0.0278 0.7994 0.5811
O 0.0278 0.2994 0.9189
O 0.5278 0.7006 0.0811
O 0.1494 0.3879 0.4735
O 0.6494 0.6121 0.5265
O 0.6494 0.1121 0.9735
O 0.1494 0.8879 0.0265
O 0.0818 0.0697 0.4648
O 0.5818 0.9303 0.5352
O 0.5818 0.4303 0.9648
O 0.0818 0.5697 0.0352
O 0.0835 0.2463 0.3484
O 0.5835 0.7537 0.6516
O 0.5835 0.2537 0.8484
O 0.0835 0.7463 0.1516
O 0.0405 0.6778 0.3199
O 0.5405 0.3222 0.6801
O 0.5405 0.8222 0.8199
O 0.0405 0.1778 0.1801
O 0.5782 0.5368 0.3531
O 0.0782 0.4632 0.6469
O 0.0782 0.9632 0.8531
O 0.5782 0.0368 0.1469
O 0.5982 0.2250 0.2554
O 0.0982 0.7750 0.7446
O 0.0982 0.2750 0.7554
O 0.5982 0.7250 0.2446
O 0.6323 0.3466 0.1266
O 0.1323 0.6534 0.8734
O 0.1323 0.1534 0.6266
O 0.6323 0.8466 0.3734


Entry 2:
The following is a DFT calculation (PBE) of a relaxed ZrSiPbO5 crystal.

Summary:
The calculation puts the formation energy without anion corrections at -2.589 eV/atom. The calculation puts the raw total energy at -7.898 eV/atom.

Lattice parameters (Å, degrees): 5.8462 5.8462 7.6492 104.50 104.50 105.91
Element x y z (fractional)
Zr 0.0000 0.0000 0.5000
Zr 0.0000 0.0000 0.0000
Si 0.6823 0.3177 0.2500
Si 0.3177 0.6823 0.7500
Pb 0.3270 0.6730 0.2500
Pb 0.6730 0.3270 0.7500
O 0.0764 0.9236 0.2500
O 0.9236 0.0764 0.7500
O 0.8775 0.3047 0.1241
O 0.1225 0.6953 0.8759
O 0.6953 0.1225 0.3759
O 0.3047 0.8775 0.6241
O 0.7613 0.6085 0.3982
O 0.2387 0.3915 0.6018
O 0.3915 0.2387 0.1018
O 0.6085 0.7613 0.8982
*/

Tell the students that they're going to hear you say the meaning of the word, but sometimes you'll be saying the wrong meaning. The students use their Captur paddles to respond to you. "A" means "True" (the definition matches the word) and "B" means "False" (the definition does not match this word).

Choice A True (the definition matches the word)

Choice B False (the definition does not match the word)

Say the word, and then say a short paraphrased definition of the word. If you're hoping to elicit a "False" response from the students, then your definition could be a near opposite of the real meaning, or it could be totally unrelated.

Teacher: OK, here's the next word: "docile". This means angry and loud. Everyone, please respond.

Students show their Captur paddles. Nearly everyone answers "False" by showing Choice B ("B").

Teacher: Right. "Docile" doesn't mean angry and loud.

If quite a few students get it wrong, be sure that the false definition wasn't misleading, or that the true definition wasn't too confusing.

Type of Activity: 